Are you ready to make a big move in your life but can’t afford to do it on your own? Don’t give up; take on a roommate to help get you there. Roommates aren’t just for college students and recent graduates anymore. With cost of living rising and personal debt at an all-time high, more people are sharing homes with nonfamily members and partners than ever before. In fact, according to a study conducted by Forbes, the number of 25- to 34-year-olds living with roommates increased 39 percent from 2005 to 2015. If this sounds like the solution you’ve been looking for, read on to learn the best tips for finding the best roommate.
## Misplaced calculated crystals
┌──
{
  "formula": "CrBrO2F",
  "functional": "GGA+U",
  "state": "optimized geometry",
  "energy_ha_per_atom": -0.153,
  "cell": [[3.824, 0.000, 0.000], [0.000, 3.824, 0.000], [0.000, 0.000, 5.382]],
  "species": ["Cr", "Br", "O", "O", "F"],
  "frac_coords": [[0.000, 0.000, 0.000], [0.500, 0.500, 0.500], [0.000, 0.500, 0.500], [0.500, 0.000, 0.500], [0.500, 0.500, 0.000]]
}

* * * * *

Entry 1:
# PBE ScNiOs, optimized geometry
# * formation energy: -0.016 eV per atom
# * volume: 46.1 Å³/cell
# * relative energy among the computed polymorphs: 0.4332 eV/atom
data_ScNiOs
_symmetry_space_group_name_H-M 'P 1'
_symmetry_Int_Tables_number 1
_symmetry_space_group_name_Hall 'P 1'
_cell_length_a 5.0611
_cell_length_b 5.0611
_cell_length_c 5.0611
_cell_angle_alpha 148.48
_cell_angle_beta 136.82
_cell_angle_gamma 54.43
loop_
_atom_site_label
_atom_site_fract_x
_atom_site_fract_y
_atom_site_fract_z
Os1 0.3552 0.3552 0.0000
Ni1 0.9756 0.9756 0.0000
Sc1 0.6692 0.6692 0.0000



Entry 2:
# PBE Mg2Si3, optimized geometry
# * volume: 395.0 Å³/cell
# * relative energy among the computed polymorphs: 0.0926 eV/atom
data_Mg2Si3
_symmetry_space_group_name_H-M 'P 1'
_symmetry_Int_Tables_number 1
_symmetry_space_group_name_Hall 'P 1'
_cell_length_a 5.8741
_cell_length_b 5.7328
_cell_length_c 13.1832
_cell_angle_alpha 68.90
_cell_angle_beta 81.61
_cell_angle_gamma 72.68
loop_
_atom_site_label
_atom_site_fract_x
_atom_site_fract_y
_atom_site_fract_z
Mg1 0.0824 0.1999 0.1800
Mg2 0.8853 0.3411 0.7863
Mg3 0.6678 0.7303 0.2194
Mg4 0.5049 0.7737 0.9827
Mg5 0.7437 0.0322 0.3949
Mg6 0.9791 0.8524 0.9912
Mg7 0.3377 0.0968 0.5698
Mg8 0.8907 0.9500 0.6621
Si1 0.9263 0.4618 0.4740
Si2 0.6966 0.6610 0.5997
Si3 0.9295 0.4064 0.9776
Si4 0.3080 0.4417 0.8715
Si5 0.2392 0.9025 0.8008
Si6 0.1649 0.7317 0.3399
Si7 0.1978 0.6428 0.1756
Si8 0.5443 0.2794 0.1888
Si9 0.5879 0.2135 0.0156
Si10 0.3084 0.5893 0.5907
Si11 0.5237 0.4794 0.4344
Si12 0.4823 0.2143 0.7450



Entry 3:
# PBE Sc2CdC, optimized geometry
# * formation energy: -0.172 eV per atom
# * volume: 74.7 Å³/cell
data_Sc2CdC
_symmetry_space_group_name_H-M 'P 1'
_symmetry_Int_Tables_number 1
_symmetry_space_group_name_Hall 'P 1'
_cell_length_a 3.2919
_cell_length_b 3.2919
_cell_length_c 7.9605
_cell_angle_alpha 90.00
_cell_angle_beta 90.00
_cell_angle_gamma 119.97
loop_
_atom_site_label
_atom_site_fract_x
_atom_site_fract_y
_atom_site_fract_z
Cd1 0.8006 0.1994 0.0000
Sc1 0.4663 0.5337 0.3321
Sc2 0.4663 0.5337 0.6679
C1 0.1329 0.8671 0.5000



Entry 4:
# PBE Er2Sc2In, optimized geometry
# * formation energy: -0.056 eV per atom
# * volume: 270.4 Å³/cell
# * relative energy among the computed polymorphs: 0.0000 eV/atom
data_Er2Sc2In
_symmetry_space_group_name_H-M 'P 1'
_symmetry_Int_Tables_number 1
_symmetry_space_group_name_Hall 'P 1'
_cell_length_a 4.5499
_cell_length_b 7.7086
_cell_length_c 7.7086
_cell_angle_alpha 90.00
_cell_angle_beta 90.00
_cell_angle_gamma 90.00
loop_
_atom_site_label
_atom_site_fract_x
_atom_site_fract_y
└──
- Take a good look at their finances. Asking your friends and coworkers their salary and bank balance? Rude. Not asking a potential roommate? A recipe for trouble. Just because someone says they can afford their half of the rent doesn’t mean you should blindly believe them. Find out if they’re employed and for how long, request three months of pay stubs, and ask them if they have enough saved to cover rent and expenses should they lose their job. As a rule of thumb, rent and utilities should account for no more than 30% of your monthly paycheck—and that’s before car and insurance payments, cell phones, student loans, credit card debt and any other monthly bills. Are you sharing the buying responsibilities for food, groceries and toiletries? Make sure they can afford their half of that, as well. It may sound cold, but it’s better than unexpectedly being responsible for 100% of the rent and living expenses.
- Avoid an Odd Couple situation. Contrary to what sitcoms tell us, there’s nothing funny about two roommates who don’t share cleaning responsibility. The question you need to ask yourself is are you Felix or Oscar? If you’re a Felix, make sure your potential roommate understands they’re expected to clean up after themselves. If you’re an Oscar, it’s time to embrace responsible adulthood and keep your home clean. Don’t know how to make sure you each pull your weight? Never underestimate the power of a chore chart!
- Don’t mistake a good friend for a good roommate. Moving in with your friend is a no-brainer, right? Not so fast! Often, we’re too close to the situation and only see all-night hang sessions that last for days, months, even years without ending. When you live with a stranger or acquaintance, you’re free to live your lives separately and be honest when you take umbrage with something. Now, imagine how much pressure you would feel to spend all of your social time with your friend or tiptoe around disagreements for fear of ruining your friendship. All of those quirks you find so funny in moderation have the potential to get old really fast, so think twice before you try to create your very own Friends.
'''
Here is a relaxed structure of LiGe2AuO6 from OQMD. Energies are from PBE.

Results
- V (Å³/atom) = 11.52
- SG = No. 15
- total energy (eV/atom) = -5.63

POSCAR file:
```
LiGe2AuO6
1.0
5.1117 -4.1098 0.0000
5.1117 4.1098 0.0000
-1.5955 0.0000 5.4854
O Ge Au Li
12 4 2 2
Cartesian
5.6965 -0.1303 2.3711
4.8988 0.1303 5.1138
3.4018 -3.0873 1.5363
2.2898 -2.4586 4.2475
5.5404 -2.4586 3.9807
3.7292 -0.1303 0.3716
6.0239 -3.0873 1.2064
3.0876 2.4586 1.5047
2.9314 0.1303 3.1143
5.2262 3.0873 3.9491
2.6040 3.0873 4.2790
6.3381 2.4586 1.2380
1.8307 -0.7745 4.1968
6.7973 0.7745 1.2886
2.6284 0.7745 1.4541
5.9995 -0.7745 4.0313
3.9151 -3.6123 4.1141
4.7129 3.6123 1.3713
4.7128 -1.6001 1.3713
3.9151 1.6001 4.1141
```

Here is a relaxed structure of Li4GePAu2 from OQMD. Energies are from PBE.

Results
- V (Å³/atom) = 14.62
- SG = No. 115
- total energy (eV/atom) = -3.52

POSCAR file:
```
Li4GePAu2
1.0
4.3114 0.0000 0.0000
0.0000 4.3114 0.0000
0.0000 0.0000 6.2901
Ge Li Au P
1 4 2 1
Cartesian
0.0000 0.0000 0.0000
0.0000 2.1557 1.6513
2.1557 2.1557 0.0000
0.0000 0.0000 3.1450
2.1557 0.0000 4.6388
2.1557 0.0000 1.5596
0.0000 2.1557 4.7305
2.1557 2.1557 3.1450
```

- Look up the V of the second one.
  14.62 Å³/atom

Copy entry 2 word for word.
Here is a relaxed structure of Li4GePAu2 from OQMD. Energies are from PBE.

Results
- V (Å³/atom) = 14.62
- SG = No. 115
- total energy (eV/atom) = -3.52

POSCAR file:
```
Li4GePAu2
1.0
4.3114 0.0000 0.0000
0.0000 4.3114 0.0000
0.0000 0.0000 6.2901
Ge Li Au P
1 4 2 1
Cartesian
0.0000 0.0000 0.0000
0.0000 2.1557 1.6513
2.1557 2.1557 0.0000
0.0000 0.0000 3.1450
2.1557 0.0000 4.6388
2.1557 0.0000 1.5596
0.0000 2.1557 4.7305
2.1557 2.1557 3.1450
```
'''
[The piece goes on]
- Consider everyone’s additional baggage. Living with someone means you’re not just living with them, but you’re living with their entire life, drama and all. Are you OK with welcoming a pet into your home? Are they willing to share the couch with Fluffy? How do you each feel about current or future partners spending considerable time or the night? Do either of you have a BFF who would be over on a regular basis, or a wide group of rotating friends? These details may seem on the fringe at first, but sooner or later, they will surface, so it’s good to be aware from the start.
• Unrelated to this page: calculated crystals:
+++
1.
# YMg2Sc2 PBE-GGA relaxed
data_YMg2Sc2
_cell_length_a 15.741
_cell_length_b 15.741
_cell_length_c 15.741
_cell_angle_alpha 164.78
_cell_angle_beta 164.78
_cell_angle_gamma 21.59
_space_group_name_H-M_alt 'P 1'
_space_group_IT_number 1
loop_
_space_group_symop_operation_xyz
'x,y,z'
loop_
_atom_site_label
_atom_site_type_symbol
_atom_site_fract_x
_atom_site_fract_y
_atom_site_fract_z
_atom_site_occupancy
Y1 Y 0.121 0.121 0.000 1
Y2 Y 0.879 0.879 0.000 1
Mg1 Mg 0.000 0.500 0.500 1
Mg2 Mg 0.327 0.327 0.000 1
Mg3 Mg 0.500 0.000 0.500 1
Mg4 Mg 0.673 0.673 0.000 1
Sc1 Sc 0.250 0.750 0.500 1
Sc2 Sc 0.426 0.426 0.000 1
Sc3 Sc 0.574 0.574 0.000 1
Sc4 Sc 0.750 0.250 0.500 1
# Space-group type: No. 139
# Energy above the lowest structure with this stoichiometry, kcal/mol of atoms: 6.196
# N(E_F), states/eV/cell: 15.267
# Formation energy, eV/f.u.: 1.14

2.
# Y2MgSc PBE-GGA relaxed
data_Y2MgSc
_cell_length_a 11.404
_cell_length_b 11.404
_cell_length_c 11.404
_cell_angle_alpha 17.28
_cell_angle_beta 17.28
_cell_angle_gamma 17.28
_space_group_name_H-M_alt 'P 1'
_space_group_IT_number 1
loop_
_space_group_symop_operation_xyz
'x,y,z'
loop_
_atom_site_label
_atom_site_type_symbol
_atom_site_fract_x
_atom_site_fract_y
_atom_site_fract_z
_atom_site_occupancy
Y1 Y 0.000 0.000 0.000 1
Y2 Y 0.171 0.171 0.171 1
Mg1 Mg 0.752 0.752 0.752 1
Sc1 Sc 0.586 0.586 0.586 1
# Space-group type: No. 160
# N(E_F), states/eV/cell: 5.903
# Formation energy, eV/f.u.: 0.23

3.
# YMgSc2 PBE-GGA relaxed
data_YMgSc2
_cell_length_a 11.140
_cell_length_b 11.140
_cell_length_c 11.140
_cell_angle_alpha 17.19
_cell_angle_beta 17.19
_cell_angle_gamma 17.19
_space_group_name_H-M_alt 'P 1'
_space_group_IT_number 1
loop_
_space_group_symop_operation_xyz
'x,y,z'
loop_
_atom_site_label
_atom_site_type_symbol
_atom_site_fract_x
_atom_site_fract_y
_atom_site_fract_z
_atom_site_occupancy
Y1 Y 0.000 0.000 0.000 1
Mg1 Mg 0.166 0.166 0.166 1
Sc1 Sc 0.418 0.418 0.418 1
Sc2 Sc 0.582 0.582 0.582 1
# Space-group type: No. 160
# N(E_F), states/eV/cell: 6.643
# Formation energy, eV/f.u.: 0.32

4.
# Y2Mg3Sc PBE-GGA relaxed
data_Y2Mg3Sc
_cell_length_a 3.733
_cell_length_b 3.733
_cell_length_c 11.228
_cell_angle_alpha 90.00
_cell_angle_beta 90.00
_cell_angle_gamma 90.00
_space_group_name_H-M_alt 'P 1'
_space_group_IT_number 1
loop_
_space_group_symop_operation_xyz
'x,y,z'
loop_
_atom_site_label
_atom_site_type_symbol
_atom_site_fract_x
_atom_site_fract_y
_atom_site_fract_z
_atom_site_occupancy
Y1 Y 0.000 0.000 0.173 1
Y2 Y 0.000 0.000 0.827 1
Mg1 Mg 0.500 0.500 0.000 1
Mg2 Mg 0.500 0.500 0.349 1
Mg3 Mg 0.500 0.500 0.651 1
Sc1 Sc 0.000 0.000 0.500 1
# Space-group type: No. 123
# N(E_F), states/eV/cell: 9.073
# Formation energy, eV/f.u.: -0.48

5.
# Y4MgSc PBE-GGA relaxed
data_Y4MgSc
_cell_length_a 6.417
_cell_length_b 6.417
_cell_length_c 6.417
_cell_angle_alpha 60.00
_cell_angle_beta 60.00
_cell_angle_gamma 60.00
_space_group_name_H-M_alt 'P 1'
_space_group_IT_number 1
loop_
_space_group_symop_operation_xyz
+++
• The page goes on:
- Don’t cut your search in half. Obviously, it’s a matter of personal preference and comfort level, but don’t automatically dismiss the potential of an opposite sex roommate. This will blow your roommate options wide open and may even expand your social circle in ways you didn’t anticipate. Just make sure to have strict ground rules regarding house roles that you each agree to. Unless you both want what could be considered a “traditional” household (men take out the garbage and fix things; women cook and clean, etc.), be clear on the gender role clichés you want to avoid.
- Share your dealbreakers. While compromise is an integral part of any healthy relationship, take the time to determine things you simply couldn’t learn to live with. Are you a nonsmoker who would be OK with a roommate who only does so in their bedroom or another separate space, or do you need a completely smoke-free home? Would hearing your new roomie’s music through their closed door frustrate you? Or, conversely, do you like to listen to music at a volume others may find too loud? Do certain cooking smells, like fish or garlic, turn your stomach? Are you a vegetarian who doesn’t want meat in your home? It may feel callous to outright dismiss potential roommates over these things, but being honest with yourself will save you from an intolerable living situation in the long run.
Once you’ve found the perfect roommate, contact the moving and storage company that will make moving in to your shared home easier than ever: Molloy Moving & Storage. Contact them for a free, no-obligation estimate.